People often describe anxiety as something felt in the gut, and science seems to support the idea that this sensation isn’t just a rhetorical coincidence. Paying attention to the “gut-brain axis” may indeed help alleviate anxiety symptoms in people with a broad range of mental health experiences. A new review of studies published in General Psychiatry suggests that gut health's role in anxiety could be as simple as keeping your microbiome consistent and regular — which can in turn reduce anxiety.
**Someone pasted records of molecules at this point**
- - -
[1]
The following is a DFT calculation (wB97M-V/def2-TZVPD) of a cluster of 2 separate species, C3H6FNO2S in total in a non-equilibrium geometry.

Gap between HOMO and LUMO ... 0.3812 hartree
Maximum force ... 4.26 eV Å⁻¹
Relative energy (zero: lowest compared OMol25 entry of this formula, charge and spin) ... 2.778 eV
Total energy ... -22341.2727 eV

Element x y z (Å)
C  1.889  0.240  0.150
C  2.572  -0.964  0.635
C  1.233  -0.384  1.103
N  -2.024  -0.398  0.030
O  -2.020  2.027  -0.482
O  -1.848  0.559  -2.340
F  0.209  -0.412  1.942
S  -1.195  0.654  -1.075
H  2.099  0.893  -0.606
H  -2.364  2.451  -1.275
H  2.499  -1.869  0.203
H  3.466  -1.032  1.315
H  -1.575  -0.983  0.628
H  -2.940  -0.785  -0.227

Cartesian forces (eV/Å) of the 3 atoms listed first:
-1.72 -1.37 2.23
0.28 0.24 4.17
2.26 1.21 -1.63

Results of the natural (NBO) charge analysis, in e, for atoms 1 through 6: number 1, C, carries -0.29; number 2, C, carries -0.42; number 3, C, carries 0.42; number 4, N, carries -1.07; number 5, O, carries -0.90; number 6, O, carries -0.96

---

[2]
The following is a DFT calculation (wB97M-V/def2-TZVPD) of a structure of composition C3H6I2NS.

Gap between HOMO and LUMO ... 0.3154 hartree
Total charge ... +1
Maximum force ... 0.94 eV Å⁻¹
Relative energy (zero: lowest compared OMol25 entry of this formula, charge and spin) ... 0.924 eV
Total energy ... -31726.2784 eV

Element x y z (Å)
C  0.320  -0.483  -1.597
C  -0.840  0.093  -0.851
I  -2.459  0.592  -2.049
C  -0.857  0.246  0.473
I  -2.411  1.031  1.623
N  0.270  -0.223  1.293
S  1.037  1.036  2.324
H  0.380  -0.057  -2.582
H  0.235  -1.556  -1.678
H  1.265  -0.246  -1.124
H  -0.065  -0.971  1.901
H  1.003  -0.632  0.713
H  2.123  1.169  1.554

Cartesian forces (eV/Å) of the 3 atoms listed first:
0.11 0.18 0.27
0.01 0.02 0.23
0.04 0.01 0.15

Results of the natural (NBO) charge analysis, in e, for atoms 1 through 6: number 1, C, carries -0.68; number 2, C, carries -0.15; number 3, I, carries 0.31; number 4, C, carries -0.14; number 5, I, carries 0.29; number 6, N, carries -0.67

---

[3]
The following is a DFT calculation (wB97M-V/def2-TZVPD) of a cluster of 2 separate species, C3H6I2Si in total in a non-equilibrium geometry.

Gap between HOMO and LUMO (spin up / spin down) ... 0.3269 / 0.1302 hartree
Maximum force ... 3.67 eV Å⁻¹
Relative energy (zero: lowest compared OMol25 entry of this formula, charge and spin) ... 4.719 eV
Total energy ... -27284.5585 eV

Element x y z (Å)
C  0.371  -0.693  0.104
C  -0.059  0.435  -0.501
C  -0.527  -1.701  0.764
Si  1.260  1.684  -0.975
I  -3.670  1.790  -0.359
I  3.653  1.908  -0.256
H  1.392  -1.126  0.244
H  -1.026  0.676  -0.870
H  -1.658  -1.395  0.924
H  -0.129  -2.104  1.688
H  -0.452  -2.538  0.102
- - -
All of our guts host trillions of microorganisms, which isn’t nearly as gross as it might sound. These communities of gut microbiota help bolster our bodies’ anti-inflammatory responses, immune systems, metabolism, and nutrient uptake. These microorganisms are called probiotics because they fight the “bad” bacteria in our intestines.
But can that probiotic foods also help alleviate anxiety symptoms? To investigate the extent that these microbes might also help our brains, researchers at the Shanghai Mental Health Center at Shanghai Jiao Tony University School of Medicine reviewed 21 studies that looked at the impact of probiotics on anxiety symptoms. Over half of the studies (11 out of 21) found that regulating intestinal microbes helped reduce anxiety. The review found that taking probiotics directly can help calm some anxiety, but general dietary changes can be even more beneficial overall for anti-anxiety needs.
• Calculated molecules, kept here for reference:
## w
{"formula": "C4H11N2O2", "method": "ωB97M-V/def2-TZVPD", "species": ["C", "C", "C", "C", "N", "N", "O", "O", "H", "H", "H", "H", "H", "H", "H", "H", "H", "H", "H"], "coordinates": [[0.460, -1.241, 0.848], [1.546, 0.511, -0.630], [-0.512, -0.400, 0.041], [-2.269, 1.149, 0.144], [-1.015, -0.844, -1.113], [1.793, -0.710, 0.411], [1.922, 1.642, -0.052], [-1.101, 0.494, 0.766], [0.305, -0.887, 1.906], [0.466, -2.356, 0.800], [2.004, 0.473, -1.580], [-3.149, 0.612, 0.130], [-1.909, 1.577, -0.831], [-2.448, 1.906, 0.958], [-0.538, -1.655, -1.513], [-1.639, -0.317, -1.782], [2.603, -0.438, 1.071], [2.189, -1.474, -0.227], [1.292, 1.956, 0.652]], "mulliken_charge": [-0.7665, -0.4689, 0.8621, -0.9099, -0.4454, -0.1328, -0.5151, -0.3153, 0.2862, 0.4243, 0.3891, 0.3817, 0.4254, 0.2539, 0.2254, 0.2301, 0.3523, 0.3708, 0.3526], "homo_energy_ev": [-11.0470, -11.0464], "spin_multiplicity": 1, "e_lumo_ev": [-3.19, -3.19], "charge": 1}

=====

## x
{"formula": "C4H11N2O2", "method": "ωB97M-V/def2-TZVPD", "species": ["N", "C", "C", "C", "O", "C", "N", "O", "H", "H", "H", "H", "H", "H", "H", "H", "H", "H", "H"], "coordinates": [[0.390, -0.440, -1.621], [-0.407, -0.030, -0.403], [0.582, 0.508, 0.637], [0.868, 1.991, 0.473], [1.731, -0.319, 0.483], [-1.268, -1.322, -0.139], [-1.972, -1.434, 0.984], [-1.240, -2.162, -1.017], [1.067, -1.125, -1.265], [0.913, 0.316, -2.061], [-0.246, -0.805, -2.328], [-1.114, 0.716, -0.774], [0.137, 0.379, 1.626], [0.505, 2.597, 1.303], [0.552, 2.410, -0.481], [1.954, 2.147, 0.517], [2.125, -0.486, 1.344], [-1.978, -0.718, 1.690], [-2.599, -2.225, 1.032]], "mulliken_charge": [-0.3123, -0.3920, 0.3539, -1.2767, -0.5830, 0.3700, -0.3325, -0.6201, 0.3380, 0.3307, 0.3535, 0.4404, 0.4841, 0.3312, 0.3170, 0.3485, 0.3555, 0.2049, 0.2890], "homo_energy_ev": -14.5686, "spin_multiplicity": 1, "e_lumo_ev": -3.21, "charge": 1}

=====

Least stable: w

=====

## w
{"formula": "C4H3Cl2N", "method": "ωB97M-V/def2-TZVPD", "species": ["C", "C", "C", "C", "N", "Cl", "Cl", "H", "H", "H"], "coordinates": [[1.049, -0.535, 0.004], [1.750, 0.685, -0.061], [-0.238, 0.318, -0.065], [-1.622, -0.093, -0.005], [0.416, 1.420, 0.012], [1.280, -2.231, 0.106], [3.378, 1.055, 0.009], [-1.689, -0.973, 0.694], [-2.001, -0.450, -1.024], [-2.323, 0.804, 0.331]], "mulliken_charge": [-0.0342, 0.2760, 0.7540, -0.8606, -0.6187, -0.1873, -0.1587, 0.2941, 0.2666, 0.2688], "homo_energy_ev": [-8.1786, -8.1809], "spin_multiplicity": 1, "e_lumo_ev": [-0.39, -0.39]}

=====

## x
So where does this leave those of us with a boatload of anxiety and gut-load of intestinal bacteria ready to help our brains chillax? There are a few subtle shifts that might be able to help your bacteria-filled gut support your anxiety-filled brain today. Those trillions of bacteria in your gut love regular deposits of spinach, kale, collard greens — all the leaves, all the time. These leaves are packed with fiber and nutrients (vitamins C, K, and A, as well as folate) that help calm our guts and keep our internal microbiomes happy.
According to Johns Hopkins Medicine, eating leafy greens can encourage the enteric nervous system (aka your gastrointestinal tract) to send signals to your brain that all is well in the body. And your anxiety is likely to calm when your ENS tells your central nervous system (CNS), the part that directly impacts your mood, that all is well.
And have that salad regularly, too! You probably know about how circadian rhythms impact your sleep. But your digestive system also works on a clock: indeed, the Journal of Physiological Pharmacology tells us that our gut health is also time-dependent.
# Here the article breaks off for quantum chemistry results
+++
# C53H70N7O10

5 unconnected molecules or ions with the total composition C53H70N7O10 at a distorted geometry (wB97M-V/def2-TZVPD, the OMol25 dataset).

```
140
Properties=species:S:1:pos:R:3:forces:R:3
C -2.726607 -1.659094 -5.796336 -0.6 6.0 3.7
C -2.855805 -0.593893 -5.014252 1.1 -5.2 -3.8
C -2.881560 0.723098 -4.103946 -1.3 -0.5 -0.9
C -3.070877 0.424224 -2.502348 2.1 0.2 0.0
C -4.129284 -0.781428 -2.316778 0.2 -1.1 0.8
C -3.417190 -2.256846 -2.159373 -1.8 -0.4 -0.3
C -4.666750 -3.324062 -2.196063 -0.2 -0.6 -0.6
C -4.219728 -4.817984 -1.707257 -0.3 1.4 -0.6
C -5.285978 -3.506896 -3.692074 -0.8 0.0 0.3
C -1.517300 0.118906 -2.076963 1.5 -1.0 1.4
C -0.418610 -0.857292 -2.729671 0.4 -0.2 0.8
C 0.875311 0.003413 -3.284575 -0.7 -0.8 0.4
N -1.040256 0.775219 -1.007056 -2.6 -0.5 -3.7
C -2.114934 1.644879 -0.387267 0.2 -0.1 2.3
C -1.589016 2.990406 0.335905 1.4 0.8 0.2
C 0.047048 3.077156 0.455678 -0.1 0.4 0.1
C 0.431802 4.220004 1.565268 0.7 -1.4 -0.4
C 1.925673 4.006193 2.190033 -0.2 0.5 1.0
C 2.985512 5.102215 1.658003 -0.1 -0.2 -0.1
C 3.826690 4.660317 0.350124 0.6 2.3 0.1
O 3.910170 3.219972 0.136895 1.2 -0.1 -2.2
C 4.322487 2.894187 -1.198729 -2.5 -0.4 -4.3
O 3.631889 3.308263 -2.215818 2.9 -1.4 4.7
C 5.651296 2.064277 -1.525668 0.2 -0.1 -0.3
C 6.175271 1.850105 -2.885334 -1.4 0.3 1.7
C -2.507749 0.714848 0.920074 -1.0 0.1 -0.6
N -1.271512 0.200715 1.592139 -1.0 0.0 0.4
C -1.738155 -0.789178 2.624822 -0.7 -0.1 0.8
C -3.244433 1.772676 -1.569940 -0.8 0.7 0.2
C -3.080624 3.110417 -2.471678 0.8 0.7 0.5
C -4.632547 1.992658 -0.771780 -0.7 0.8 0.4
C -5.868797 2.516039 -1.665771 -1.7 -1.4 -1.4
C -6.215939 4.100639 -1.832692 -0.5 -1.3 0.0
N -6.706278 1.678099 -2.295205 2.8 2.2 2.1
H -2.619176 -2.489268 -6.599487 -0.3 2.0 2.0
H -3.833378 1.321547 -4.424442 1.8 -1.1 0.4
H -1.951248 1.365006 -4.340968 -1.5 -1.1 0.4
H -4.901394 -0.817765 -3.193438 1.8 0.3 1.4
H -4.790314 -0.684235 -1.356908 1.4 0.2 -1.6
H -2.749626 -2.528676 -3.054482 -0.9 0.6 1.5
H -2.845107 -2.354682 -1.152194 -0.9 0.3 -1.7
H -5.551661 -2.923239 -1.544567 1.7 -0.7 -0.9
H -5.041087 -5.549427 -2.094538 1.7 1.1 1.0
H -3.197915 -5.024621 -2.230943 -1.8 0.1 1.1
H -4.140535 -4.788194 -0.560472 0.1 -0.5 -1.8
H -6.086396 -4.357841 -3.667687 1.5 1.5 0.1
H -5.871957 -2.558075 -4.027625 1.2 -1.6 0.4
H -4.509953 -3.820231 -4.483109 -1.1 0.7 1.3
H 0.013427 -1.495931 -1.850243 -1.1 1.0 -1.4
H -0.821705 -1.610825 -3.494866 0.4 1.6 1.1
H 0.549019 1.097855 -3.416620 0.9 -1.7 -0.1
H 1.729354 -0.093847 -2.504248 -1.5 0.4 -1.5
H 1.200155 -0.523456 -4.253295 -0.4 1.3 1.4
H -0.070917 0.587522 -0.706005 -0.9 0.4 0.2
H -1.965507 3.045237 1.441240 0.4 -0.3 -2.1
H -1.915525 3.976841 -0.154655 0.3 -1.7 0.5
H 0.541277 3.335976 -0.564960 -0.9 -0.4 1.7
H 0.484146 2.056867 0.778376 -0.7 1.6 -0.3
H -0.303909 4.087394 2.440624 0.9 0.6 -1.4
H 0.387189 5.255196 1.065203 -0.3 -1.6 1.0
H 1.815753 4.187125 3.338764 0.2 -0.3 -2.0
H 2.297125 2.906073 2.097268 -0.6 2.0 -0.1
H 2.376629 6.053560 1.380710 1.2 -1.6 0.4
+++
# Back to the article
When you eat on a regular schedule (around the same time daily) and relatively often, your digestive system can function more smoothly. In other words, your gut health improves when you eat on a schedule: like with sleep, your gut likes well-timed nourishment.
There are also always probiotics you can get directly from your food. Dietary probiotics can be found in kimchi, tempeh, miso, sauerkraut, and are often added to yogurt. But fermented, non-dairy options may be a safer bet for your gut: dairy-based yogurts can upset bowel movements and gut health in people who are lactose intolerant. So be careful with your choices, but rest assured that your gut-brain axis will most likely thank you.
And even if it doesn't: those of us whose brains are on constant hypervigilance-mode know that anxiety is anything but simple. It defies logic and, sometimes, it’s going to feel like it’s defying science. Do you have the healthiest gut of all the guts? Great! Are you still anxious as Peter Parker in Spider-man: Homecoming? That’s OK! Anxiety is painful, but it doesn't mean you (or your gut) are inferior if gut changes don't alleviate your feelings. Because diet isn't a cure-all for mental illness, and that's OK, too. You and your gut bacteria are valid, no matter where your anxiety is today.
If you or someone you know is seeking help for mental health concerns, visit the National Alliance on Mental Health (NAMI) website, or call 1-800-950-NAMI(6264). For confidential treatment referrals, visit the Substance Abuse and Mental Health Services Administration (SAMHSA) website, or call the National Helpline at 1-800-662-HELP(4357). In an emergency, contact the National Suicide Prevention Lifeline at 1-800-273-TALK(8255) or call 911.